As part of the Public Policy Institute’s focus on preventing and ending poverty, we target one of the root causes (and results) of lack of income and connectedness: substance misuse.
Uniquely, we don’t offer treatment or recovery services. Instead, we look at the "upstream" factors that can lead to substance misuse disorders and focus our intention there. In that way, we try to prevent substance misuse from ever taking hold. We look at risk factors in neighborhoods, mass media messaging, opportunities for young people to learn and thrive, and supports for families, educators, human services professionals, and young people themselves.
We firmly believe that prevention works. After all, if young people live in a safe and supportive neighborhood, understand the harms caused by substance abuse, are given the tools to make healthy decisions, and feel a sense of self-worth, dignity, and hope, their risk of becoming entangled in substance use and misuse decreases. Not only does prevention help individuals, but it also plays a role in promoting healthy communities, positive family relationships, and more promising futures. What’s more, prevention is more cost-effective (and less traumatic) than investing in recovery and treatment from substance use disorders.
We provide prevention services in a variety of ways:
- Directly intervening with vulnerable individuals who are more likely to engage in a negative behavior
- Targeting entire communities that show a higher level of unhealthy activities or environments, for example, through public awareness campaigns using posters, social media, billboards, and public service announcements
- Participating in coalitions made up of allied organizations to broaden community engagement
- Distributing grant awards and providing training and support to local organizations

Here’s how we do it:
Established in 2011, the RISE Drug Free MKE coalition (formerly MCSAP) exists to raise awareness to elevate youth in Milwaukee County through education, and to lift the entire community out of harms caused by substance use. With our coalition partners we will RISE to provide youth with Resources for Inclusive Substance Education. RISE is more than a name: It is a call to action, and a promise of the direction we’re moving in as a community, together.
RISE Drug Free MKE prioritizes policies, practices, and programs that address major substance use issues in our community, including marijuana use among youth, problematic drinking, and prescription drug (mis)use.
In 2013, Community Advocates Inc. was awarded the Milwaukee County contract to serve as fiscal agent for the continuing work of RISE Drug Free MKE/MCSAP and the prevention sub-granting process. Since then, technical assistance and staffing has intensified and the coalition has grown to include more than 50 members from a diverse cross-section of the Milwaukee County community—with 15 of the 50 as highly engaged “voting members” helping to lead the coalition.
2024 Impact
- 785 students participated in Botvin LifeSkills sponsored by the coalition
- 2,053 people were provided with substance use prevention information by the coalition
- 940 people participated in healthy, substance-free activities sponsored by the coalition
- 26,320 reached on RISE Drug Free MKE's social media pages
Coalition members and partners conducted an assessment throughout Milwaukee County of shops that sell alcohol or tobacco/nicotine so we can better understand how these products are being marketed and sold, especially to our youth.
Visit the RISE Drug Free MKE website here
Misplaced data records:
1.
First-principles (PBE) data for a relaxed structure of ThZrAl4, as listed in Alexandria.

Lattice parameters (Å, degrees): 5.5320 5.5320 5.5320 60.00 60.00 60.00
Last column: nearest neighbours and their distance in Å.
Atoms (fractional coordinates):
Zr 0.0000 0.0000 0.0000  12 Al 3.24, 4 Th 3.39
Th 0.2500 0.2500 0.2500  12 Al 3.24, 4 Zr 3.39
Al 0.6251 0.6251 0.1248  6 Al 2.76-2.77
Al 0.6251 0.1248 0.6251  6 Al 2.76-2.77
Al 0.6251 0.6251 0.6251  6 Al 2.76-2.77
Al 0.1248 0.6251 0.6251  6 Al 2.76-2.77

E ... -5.5700 eV/atom
Spin magnetization ... 0.00 μB per cell
Symmetry ... F-43m
ΔH_f (0 K) ... -0.41 eV/atom
Density of states at the Fermi level ... 4.0 states/eV/cell

=====

2.
First-principles (PBE) data for a relaxed structure of BeCl3, as listed in Alexandria.

Lattice parameters (Å, degrees): 5.1752 5.1752 10.6764 90.00 90.00 147.34
Last column: nearest neighbours and their distance in Å.
Atoms (fractional coordinates):
Be 0.0000 0.0000 0.0000  4 Cl 2.07
Cl 0.5000 0.5000 0.8621  2 Be 2.07
Cl 0.0000 0.0000 0.5000  2 Cl 2.91
Cl 0.5000 0.5000 0.1379  2 Be 2.07

E above lowest polymorph ... 206 meV/atom
E ... -2.9031 eV/atom
Spin magnetization ... 0.33 μB per cell
Symmetry ... Cmmm
Density of states at the Fermi level ... 3.3 states/eV/cell
ΔE_f (raw) ... -2.35 eV/f.u.

=====

3.
First-principles (PBE) data for a relaxed structure of Cr2AsSe, as listed in Alexandria.

Lattice parameters (Å, degrees): 3.2572 3.2255 6.9357 68.63 90.00 90.00
Last column: nearest neighbours and their distance in Å.
Atoms (fractional coordinates):
As 0.5000 0.7500 0.7500  8 Cr 2.63-2.92
Cr 0.0000 0.9841 0.9912  4 As 2.63-2.92, 4 Se 2.78-2.90
Cr 0.0000 0.5159 0.5088  4 As 2.63-2.92, 4 Se 2.78-2.90
Se 0.5000 0.2500 0.2500  8 Cr 2.78-2.90

E above lowest polymorph ... 375 meV/atom
E ... -6.7137 eV/atom
Spin magnetization ... 6.93 μB per cell
Symmetry ... P2/m
Density of states at the Fermi level ... 2.4 states/eV/cell
ΔE_f (raw) ... 0.53 eV/f.u.


Below is an optimized crystal structure of Ce2ThSi2Os, with properties calculated at the PBE level.

The space group is I4/mmm (No. 139) and the conventional cell measures 5.594, 5.594 and 10.194 Å, with angles of 90.00, 90.00 and 90.00 degrees. The inequivalent atoms are Ce at (0.000, 0.500, 0.250), Th at (0.000, 0.000, 0.000), Si at (0.000, 0.000, 0.276) and Os at (0.000, 0.000, 0.500).

The value obtained for the uncorrected formation energy is 0.1302 eV/atom.


No. 1
Dy7In2Ir2: optimized geometry, PBE.

Results
Magnetization ... 0.00 μB per cell
Calculated total energy ... -5.507 eV per atom
Energy relative to the elements ... -0.47 eV/atom
Crystal system ... orthorhombic
Mass density ... 9.17 g cm⁻³

a = 8.218 Å, b = 10.918 Å, c = 7.073 Å
α = 90.00°, β = 90.00°, γ = 90.00°
Space group Cmmm (No. 65)
Symmetry-distinct sites (fractional):
Dy1 0.000 0.000 0.000 (multiplicity 2)
Dy2 0.000 0.500 0.242 (multiplicity 4)
Dy3 0.250 0.250 0.248 (multiplicity 8)
In1 0.176 0.000 0.500 (multiplicity 4)
53206 Drug-Free Communities Project: The 53206 Drug-Free Communities Project aims to reduce youth alcohol and marijuana use in 53206 neighborhoods by middle and high school-age students. The 53206 DFC aims to promote positive youth development and resilience in the neighborhood and support youth and families to thrive through DFC activities and by partnering with established community organizations. PPI coordinates and staffs this collaborative project. Among its initiatives are:
- Conducting youth drug awareness surveys to understand young people’s attitudes toward and knowledge of alcohol and other substances
- Helping to organize RISE Drug Free MKE'S annual youth summits
- Working with community partners to conduct retail assessments on the marketing and sales of tobacco, e-cigarettes, alcohol, and food
- Partnering with the Milwaukee Police Department to conduct youth alcohol compliance checks in neighborhood shops
Sober Truth On Preventing Underage Drinking (STOP) Act is a supplemental component of DFC that focuses on alcohol prevention through a media campaign and environmental change strategies. The 53206 DFC is utilizing the STOP Act grant by learning more about the availability of alcohol to minors living in the 53206 neighborhoods.
Interested in learning more about the 53206 Drug-Free Communities Project? Contact Kari Southern at ksouthern@communityadvocates.net.
City of Milwaukee Tobacco-Free Alliance: This city-wide coalition is dedicated to reducing the death and disease caused by commercial tobacco use and exposure in the City of Milwaukee. The Alliance focuses primarily on youth tobacco prevention, smoke-free housing, and reducing/eliminating commerical tobacco use and exposure. The Alliance is especially interested in the impact of vaping on youth and the exposure of youth to tobacco marketing and sales.
Interested in learning more about the City of Milwaukee Tobacco-Free Alliance? Contact Charlie Leonard at cleonard@communityadvocates.net

Alliance for Wisconsin Youth: PPI administers the Southeast Region of the Alliance for Wisconsin Youth coalition to coordinate and provide technical support to coalitions across eight counties in Southeast Wisconsin. AWY enhances the capacity of member coalitions to prevent substance abuse and support an ATODA-free lifestyle for youth. Coalitions pursue projects related to alcohol and drug prevention education, drug collection programs, parent education, compliance checks, public awareness campaigns, social host outreach to parents, outreach to retailers, public policy advocacy, and more.
Want to learn more about the Alliance for Wisconsin Youth? Contact Hannah Lepper at hlepper@communityadvocates.net.

Milwaukee Brighter Futures is a network of agencies that are committed to substance use prevention and positive youth development strategies in Milwaukee. We provide fiscal oversight, coordination, and training and technical assistance to The Parenting Network, Neu Life Community Development, Milwaukee Christian Center, United Community Center, Pathfinders, PEARLS for Teen Girls, and Big Brothers Big Sisters of Metro Milwaukee.
Our Bureau of Milwaukee Child Welfare project re-grants funds to evidence-based programs to reduce substance use in adolescents and parents/caregivers through the evidence-based Botvin LifeSkills Curriculum.
Want to learn more about Milwaukee Brighter Futures Initiative? Contact Hannah Lepper at hlepper@communityadvocates.net.